5.4 Water Safety Flags
To standardise the use of safety flags at beaches, ensuring that Surf Life Saving services utilise internationally recognised flag systems to clearly designate patrolled swimming areas and surfcraft exclusion zones.
Safety flags may be installed depending on the conditions and beach attendance. There are a standard set of safety flags which follow international standards to denote areas such as safe swimming area and surf craft area.
Red and Yellow Patrol Flag and Feather (Augmentation)
SLS services must utilise the red and yellow patrol flag with the red and yellow feather (‘Beach Flag Augmentation’) as its standard for indicating the patrolled swimming zone at beaches.
## Unrelated to this piece: crystal structures
=====
No. 1
Crystalline NiTe4Br at its relaxed geometry, computed with PBE.

Cell: 6.271 6.271 6.271 Å, 60.00 60.00 60.00°
Each line ends with the local moment (μB).
Element x y z (fractional)
Ni (0.000, 0.000, 0.000)  0.80
Te (0.875, 0.375, 0.375)  0.02
Te (0.375, 0.375, 0.875)  0.02
Te (0.375, 0.875, 0.375)  0.02
Te (0.375, 0.375, 0.375)  0.02
Br (0.750, 0.750, 0.750)  0.00

Results
**Total magnetic moment**: 0.967 μB per cell
**DOS(E_F)**: 2.38 states/eV per atom
**Uncorrected formation energy**: 4.1 eV per formula unit
**Theoretical density**: 6.2 Mg/m³

---

No. 2
Crystalline NiTeBr at its relaxed geometry, computed with PBE.

Cell: 4.628 4.628 4.628 Å, 60.00 60.00 60.00°
Each line ends with the local moment (μB).
Element x y z (fractional)
Br (0.500, 0.500, 0.500)  0.16
Ni (0.750, 0.750, 0.750)  0.79
Te (0.000, 0.000, 0.000)  0.25

Results
**Total magnetic moment**: 1.394 μB per cell
**DOS(E_F)**: 0.91 states/eV per atom
**Uncorrected formation energy**: 1.1 eV per formula unit
**Theoretical density**: 6.3 Mg/m³

~~~~~

The following is a DFT calculation (PBE) of NdDy2Ag4 after structural relaxation.

The value obtained for the total energy is -51.8 eV per cell. The calculation puts the formation enthalpy at 0 K at -1.71 kcal/mol of atoms. The crystal system is tetragonal.

The structure belongs to space group I4/mmm (No. 139); the cell edges are 7.344, 7.344 and 6.976 Å and the angles 90.00°, 90.00° and 90.00°. Symmetry generates all atoms from Nd at (0.000, 0.000, 0.000), Dy at (0.000, 0.500, 0.000) and Ag at (0.250, 0.250, 0.250).

~~~~~

Entry 1:
LiLa2ReC: optimized geometry, GGA-PBE.

spin magnetization = 0.0 μB/cell
energy relative to the lowest polymorph listed for this composition = 0 meV/atom
N(E_F) = 3.36 states/eV/f.u.
electronic total energy = -33.52 eV for the cell shown
space group = P4/mmm (123)

Cell: 5.365 5.365 3.999 Å, 90.00 90.00 90.00°
Fractional positions:
Li 0.500 0.500 0.500
La 0.500 0.000 0.000
La 0.000 0.500 0.000
Re 0.000 0.000 0.500
C 0.000 0.000 0.000

---

Entry 2:
LiLa2ReC: optimized geometry, GGA-PBE.

spin magnetization = 0.0 μB/cell
energy relative to the lowest polymorph listed for this composition = 1597 meV/atom
N(E_F) = 3.64 states/eV/f.u.
electronic total energy = -25.54 eV for the cell shown
space group = P4/mmm (123)

Cell: 5.096 4.118 5.096 Å, 90.00 90.00 90.00°
Fractional positions:
La 0.000 0.000 0.500
Re 0.000 0.500 0.000
C 0.500 0.500 0.500
Li 0.000 0.000 0.000
La 0.500 0.000 0.000

---

Entry 3:
LiLa2RhC: optimized geometry, GGA-PBE.

spin magnetization = 0.0 μB/cell
N(E_F) = 1.86 states/eV/f.u.
electronic total energy = -29.56 eV for the cell shown
space group = P4/mmm (123)

Cell: 5.365 5.365 3.936 Å, 90.00 90.00 90.00°
Fractional positions:
La 0.500 0.000 0.000
La 0.000 0.500 0.000
Rh 0.000 0.000 0.500
C 0.000 0.000 0.000
Li 0.500 0.500 0.500

---

Entry 4:
LiLaRuC: optimized geometry, GGA-PBE.

spin magnetization = 0.0 μB/cell
N(E_F) = 2.48 states/eV/f.u.
=====
## The crystal structures stop here
The ‘feather’ also enhances public identification of the patrolled area from in the water so that the public can better ensure they continue swimming ‘between the flags’.
Black and White Quartered Flag and Feather (Surfcraft Boundary)
Where the surf conditions warrant their use, SLS services should utilise the black and white quartered flag (with optional feather) to indicate surfcraft exclusion zones. Implementation of black/white ‘feathers’ requires SLSSA approval.
Display of Surfcraft Signage with Black and White Flags
SLS also endorses the use of surfcraft directional or probation signs to be used in conjunction with surfcraft boundary flags. This may be through the placement of signs on the ‘flagpole’ or ‘pole base’. The most common example of this would be the use of a directional ‘surfcraft’ information sign on the flagpole. The use of the surfcraft prohibition sign should only be used where the service has delegated authority and supporting legislation to prohibit the activity.
Surfcraft Directional Signage (as shown in A/NZS 2416:2010.2)
Surfcraft Prohibition Signage (as shown in A/NZS 2416:2010.2)
Table 1 – Flags approved for use by SLS services in SA
Flag | Name | Description |
Patrol Flag | Pair of flags to signify a swimming and bodyboarding zone which has a patrol on-duty. | |
Patrol Flag – Feather | Additional ‘feather’ flown only with rectangular patrol flag. | |
Surfcraft Boundary | Pair of flags used to demarcate a surfboard and other water craft zone or boundary. | |
Surfcraft Boundary – Feather | Additional ‘feather’ flown only with rectangular surfcraft boundary flag. | |
SLS Flag | Single flag flown from clubhouse/tower to signify an active on-duty service. Must only fly if patrolled area is open. | |
Signal Flag | Pair of flags used by lifesaving services to signal other lifesavers. | |
Emergency evacuation | Emergency evacuation. To signify that people should leave the water because of an emergency. |
This document must not be displayed, including in a patrol room, or reproduced in any form, without permission from the Lifesaving Department, Surf Life Saving SA.